35 questions / 1) colors 2) days 3) Irregular Verbs 4) Animals 5) Family 6) Irregular Verbs 7) Food
Record 1
122
Properties=species:S:1:pos:R:3:mulliken_charge:R:1 method="wB97M-V/def2-TZVPD" total_charge=+1 e_lumo_ev=-5.78 e_homo_ha=-0.27469
Ca 7.45 -2.64 0.01 1.53
Cl 11.24 -0.41 7.51 -0.13
Cl 10.76 -3.15 6.62 -0.18
Cl 8.29 0.76 2.63 -0.63
F 7.53 -3.02 1.81 -0.38
F -3.91 1.59 0.21 -0.35
O -6.29 -0.15 2.49 -0.39
O 9.47 -2.08 1.15 -0.06
O -10.79 -4.00 0.17 -0.32
O -4.51 6.50 2.86 -0.56
O 8.43 2.82 -4.53 -0.36
O -8.66 -0.92 -2.33 -0.59
O -2.70 -5.38 -1.42 -0.45
O 9.13 -6.36 1.84 -0.60
O 11.55 -1.19 1.36 -0.42
O 6.19 2.63 -4.17 -0.61
O -10.71 0.07 -2.21 -0.75
O -8.83 -4.89 1.24 -0.60
O 10.69 -2.47 3.02 -0.25
N -5.97 -1.61 0.34 0.01
N -5.82 7.21 1.12 0.13
N -3.74 -3.23 -2.35 -1.03
N -3.69 -1.47 0.13 0.53
N -4.86 -2.87 -1.59 0.59
N -4.08 -0.73 1.20 0.11
C -3.35 -4.43 -1.94 0.90
C -3.34 0.12 2.17 -0.79
C -2.23 -1.53 -0.17 -0.71
C 10.66 -1.85 1.81 0.32
C 3.58 -1.00 -1.06 -0.53
C 4.82 0.02 -1.37 -0.37
C 7.47 -0.06 -1.17 -0.12
C 8.69 0.60 -0.32 -0.40
C -6.18 5.86 0.73 -0.82
C -9.56 -0.10 -2.68 0.62
C -10.89 -1.44 0.57 -0.56
C -0.28 -0.61 -1.78 -0.88
C 0.88 -1.15 -0.80 -0.16
C 9.40 -3.03 3.23 -0.64
C -6.21 -3.36 -2.11 -0.86
C 2.20 -0.20 -0.72 -0.85
C 11.81 -1.73 6.49 -0.09
C -4.86 -2.08 -0.50 0.14
C -9.20 0.81 -3.85 -1.14
C 8.82 4.85 -3.45 -0.52
C 6.05 -0.14 -0.32 -0.14
C 9.49 3.61 -3.98 -0.37
C -4.27 2.66 2.40 -0.99
C 7.25 3.18 -3.97 0.54
C -8.44 -3.52 -0.81 -0.13
C -6.35 8.32 0.35 -0.92
C -4.99 7.39 2.18 0.09
C -3.31 1.64 1.56 0.36
C -1.65 -0.24 -0.97 0.08
C -11.23 -2.94 1.07 -0.28
C -7.00 -4.27 -1.03 -0.43
C 7.46 4.33 -3.02 -0.34
C -9.36 -4.23 0.30 0.32
C -5.53 -0.77 1.45 0.03
C 8.89 -3.17 1.84 0.55
H 8.69 5.58 -4.26 0.28
H -3.86 0.15 3.22 0.42
H -0.57 -1.47 -2.50 0.32
H -6.31 -0.82 3.23 0.37
H -7.45 8.30 0.40 0.33
H 3.48 -1.67 -2.00 0.34
H -1.41 0.65 -0.26 -0.06
H 0.12 0.30 -2.39 0.43
H -1.89 -2.46 -0.77 0.25
H 1.22 -2.18 -1.21 0.29
H -2.42 0.14 -1.75 0.25
H -6.03 8.23 -0.69 0.33
H 8.80 -2.34 3.84 0.33
H -5.39 2.48 2.15 0.25
H 3.89 -1.70 -0.20 0.19
H -6.85 5.87 -0.13 0.39
H 9.47 -3.99 3.75 0.37
H 8.53 0.53 0.83 -0.29
H -6.86 -2.48 -2.46 0.41
H -10.84 -3.04 2.15 0.23
H -9.90 0.65 -4.67 0.28
H 10.22 3.84 -4.76 0.32
H 8.86 1.70 -0.65 0.27
H -5.27 5.30 0.49 0.20
H -8.19 0.61 -4.21 0.26
H -9.25 1.86 -3.53 0.26
H -6.00 9.27 0.75 0.30
H 11.82 -1.40 5.45 0.10
H 12.82 -2.00 6.80 0.31
H 7.48 3.95 -1.99 0.23
H 9.37 5.33 -2.64 0.33
H 9.98 3.04 -3.19 0.23
H 9.65 -0.01 -0.59 0.18
H 2.11 0.65 -1.50 0.35
H 6.07 0.66 0.49 0.32
H -12.39 -3.00 1.15 0.30
H -7.25 -5.30 -1.49 0.47
H 5.23 -0.15 -2.44 0.29
H 6.07 -1.19 0.22 -0.16
H 10.04 -6.67 1.99 0.32
H -2.26 -0.20 2.37 0.27
H -2.23 2.04 1.45 0.36
H -9.88 -1.08 0.98 0.03
H -6.00 -4.04 -3.03 0.35
H 7.35 0.58 -2.12 -0.07
H 2.29 0.17 0.36 0.23
H 8.58 -7.11 2.12 0.31
H 4.41 1.10 -1.28 0.31
H 9.17 -4.11 1.35 0.37
H -4.03 2.65 3.52 0.34
H -10.97 -1.30 -0.57 0.20
H -9.01 -3.57 -1.83 0.26
H -1.63 -1.58 0.83 0.19
H -6.44 -4.43 -0.05 0.24
H 0.49 -1.27 0.27 0.14
H 6.68 5.09 -3.14 0.31
H -6.68 5.37 1.57 0.28
H -11.69 -0.73 1.03 0.37
== End of the records of molecules ==
25 questions / ER Verbs IR Verbs RE Verbs Big 4 Irregular Verbs Other Irregular Verbs
32 questions / Round 1 (easy) Round 2 (medium) Round 3 (difficult) Round 4 (very difficult)
25 questions / El Futuro Los Stem-Changers El Preterito Irregulares Mixto
30 questions / Vocabulary Present Perfect Irregular Verbs Present Perfect Questions General Trivia Carnival Video
25 questions / Vocabulario Gustar y otros verbos Direct object pronouns Indirect object pronouns Reflexive verbs
25 questions / Basic Difficulty Medium Difficulty More Difficult Advanced Super Advanced
25 questions / Kurzgeschichten Sonne und Beton Materialgestütztes Argumentieren Utopien Überraschung
25 questions / Weak or Strong? Present Perfect Past Tense Health and Wellness Grammar Review
25 questions / 9WA Lore PS & Ms. W Ingarihi (ENG) Parihaka Mai Anything Goes!
25 questions / PC w/avoir translations english-french Irregular verbs with avoir Letters Participe Passe
25 questions / Middle School Science Middle School History Middle School English Middle School Math Random
Misplaced data records
Entry 1:
The following is a DFT calculation (the ωB97M-V functional and the def2-TZVPD basis) of a molecular structure, C21H51GaN4P2S in a non-equilibrium geometry.

Summary:
Net charge ... +2
Frontier orbital gap ... 8.83 eV
Energy relative to the best compared isomer or geometry (same formula, charge and spin) ... 14.03 kJ/mol
LUMO energy ... -0.18945 Ha
Strongest force on any atom ... 2.683 eV Å⁻¹

The geometry in XYZ format:
```
80
Properties=species:S:1:pos:R:3:mulliken_charge:R:1
Ga 9.883 11.000 7.414 -1.60
S 10.088 10.184 9.768 -0.34
C 8.538 9.566 9.700 0.60
N 7.557 8.969 9.624 -0.67
C 14.625 10.707 7.093 -1.58
C 13.167 11.151 7.313 -0.43
P 11.891 10.121 6.503 0.73
C 11.751 10.787 4.818 -0.85
C 10.332 10.687 4.273 -0.02
C 12.418 8.364 6.405 -0.75
C 11.397 7.425 5.637 -1.03
H 15.230 11.528 7.448 0.46
H 14.760 10.590 6.013 0.39
H 14.938 9.820 7.700 0.32
H 13.058 12.153 6.970 0.32
H 12.979 11.214 8.381 0.52
H 12.410 10.179 4.175 0.46
H 12.147 11.790 4.875 0.56
H 9.839 9.782 4.645 -0.44
H 10.354 10.665 3.171 0.55
H 9.702 11.523 4.674 -0.33
H 12.582 7.999 7.409 0.54
H 13.372 8.314 5.963 0.60
H 11.928 6.550 5.229 0.40
H 10.925 7.870 4.773 0.26
H 10.639 7.045 6.298 0.24
N 6.059 7.593 7.876 -0.10
C 6.533 7.946 6.451 -1.07
C 7.954 8.589 6.404 -0.25
N 8.105 9.942 6.847 -0.48
H 5.072 7.931 7.996 0.40
H 6.579 8.167 8.594 0.21
H 6.173 6.606 8.092 0.39
H 5.782 8.606 6.016 0.38
H 6.447 7.032 5.866 0.48
H 8.340 8.504 5.367 0.29
H 8.635 8.040 7.062 0.42
H 7.413 10.247 7.561 0.35
H 7.961 10.552 6.086 0.61
C 7.434 12.764 9.532 -2.10
C 7.243 13.870 8.474 2.42
C 6.209 13.461 7.434 -1.63
C 6.755 15.153 9.228 -1.86
P 8.882 14.033 7.510 0.03
N 9.414 12.598 7.015 1.68
C 10.231 14.883 8.544 2.12
C 10.353 14.136 9.905 -1.87
C 11.614 14.634 7.893 -1.82
C 10.088 16.397 8.820 -1.77
C 8.576 15.109 5.946 2.15
C 9.890 15.595 5.355 -2.31
C 8.072 14.231 4.770 -1.47
C 7.628 16.325 6.139 -1.98
H 6.481 12.729 10.005 0.70
H 8.148 12.910 10.273 0.33
H 7.644 11.776 9.120 0.21
H 5.215 13.163 7.838 0.44
H 6.507 12.625 6.803 0.01
H 6.115 14.285 6.815 0.40
H 5.787 14.970 9.689 0.52
H 6.530 15.957 8.540 0.35
H 7.448 15.392 10.034 0.33
H 10.255 13.077 9.698 0.17
H 9.497 14.327 10.578 0.27
H 11.247 14.403 10.445 0.67
H 12.429 14.868 8.565 0.59
H 11.691 15.267 6.996 0.28
H 11.692 13.596 7.535 0.01
H 9.061 16.661 8.993 0.36
H 10.506 17.056 8.009 0.26
H 10.587 16.623 9.770 0.46
H 10.616 14.831 5.205 0.28
H 10.397 16.337 5.933 0.38
H 9.859 16.126 4.445 0.60
H 8.888 13.578 4.404 0.18
H 7.673 14.754 3.899 0.50
H 7.258 13.525 5.001 0.27
H 7.859 16.884 7.017 0.33
H 6.630 16.016 6.203 0.48
H 7.667 17.093 5.352 0.42
```

=====

Entry 2:
The following is a DFT calculation (the ωB97M-V functional and the def2-TZVPD basis) of a molecular structure, C21H51InN3OP2 in a non-equilibrium geometry.

Summary:
Net charge ... -1
Frontier orbital gap ... 5.41 eV
LUMO energy ... 0.07387 Ha
Strongest force on any atom ... 3.998 eV Å⁻¹

The geometry in XYZ format:
```
79
20 questions / Idioms Grammar Challenge Missing word Fun Stuff
20 questions / Parts of Speech Parts of Speech Parts of Speech Parts of speech Parts of Speech
25 questions / Math Science English Social Studies/History Random
25 questions / Noun Verb Adjective Aphrodite Zeus
20 questions / YOU KNOW THIS Tip of Your Tongue Struggle Bus I sometimes wonder how I'm passing this class
20 questions / Theory Prepositional phrases Direct Object Indirect Object
10 questions / Crime and punishment Social problems
********
{"formula": "C2H2N2O2S", "method": "ωB97M-V/def2-TZVPD", "total_energy_ha": -735.43785, "homo_lumo_gap_ev": 9.662, "smiles": "[H]/N=C/S(=O)(=O)C#N", "relative_energy_kcal_mol": 93.8, "total_charge": 0, "symbols": ["C", "C", "N", "N", "O", "O", "S", "H", "H"], "coordinates": [[2.919, 0.552, 0.358], [0.393, -0.358, 0.322], [3.773, 1.331, 0.367], [0.825, 0.751, 0.000], [2.289, -2.002, -0.628], [2.133, -1.936, 1.877], [1.970, -1.311, 0.600], [-0.635, -0.749, 0.331], [0.576, 1.689, -0.103]], "mulliken_charge": [0.2595, -0.0458, -0.4366, -0.2999, -0.4985, -0.4895, 0.8723, 0.4018, 0.2367]}



{"formula": "C3H6GdNO2", "method": "ωB97M-V/def2-TZVPD", "total_energy_ha": -1087.93127, "homo_lumo_gap_ev": [8.500, 6.907], "spin_multiplicity": 8, "s_squared": 15.780, "total_charge": 2, "symbols": ["C", "C", "N", "C", "O", "O", "H", "H", "H", "H", "H", "H", "Gd"], "coordinates": [[1.790, -0.442, 0.349], [0.582, 0.499, -0.186], [-0.564, 0.453, 0.782], [-1.652, -0.369, 0.330], [-2.672, 0.043, -0.355], [-1.600, -1.712, 0.722], [2.755, 0.162, 0.228], [1.878, -1.396, -0.283], [1.651, -0.684, 1.450], [1.006, 1.552, -0.236], [0.318, 0.116, -1.238], [-0.885, 1.391, 1.068], [-2.608, 0.385, -2.631]], "mulliken_charge": [-1.0417, 0.0354, -0.2134, 0.7659, -0.6856, -0.0931, 0.3290, 0.3044, 0.3105, 0.4031, -0.0619, 0.3470, 1.6003]}
********
25 questions / Parts Of Speech Math Science History SUPER DUPER HARD
25 questions / Cui Nomen Est...? Translate the Sentence The Dreaded Grammar Category Quaestiones in Latine ...and Culture
25 questions / Macbeth literary devices Macbeth 20,000 leagues under the sea Dress ups
16 questions / Writing Skills Words and Phrases Error Correction Anything
20 questions / Column 1 Column 2 Column 3 Column 5
25 questions / Food Fashion Literature/Language Miscellaneous Fun Facts:)
25 questions / Grammar Old Testament Catholic Church Grammar Vocabulary
25 questions / English 1 English 2 English 3 English 4 English 5
25 questions / Format Proofreading Correct or Incorrect General Say What?
25 questions / Wordy Birdy Dressed to the Nines Open a Can of Worms Come on! Build Me Up Buttercup
25 questions / Food and Beverage House Body parts Classroom Extra points
20 questions / Workplace culture Employee Retention Phrasal verbs Name three
18 questions / 3.1 & 3.2 3.3 & 3.4 3.5 & 3.6 3.7 & 3.8
25 questions / Parts of Speech Miscellaneous Parts of Speech Examples Conjunctions Verb Tenses
25 questions / Week 1 Tue Week 1 Tue Week 1 Wed Week 1 Wed Week 2 Mon
20 questions / Brazil Cabo Verde Brazil 2 Portuguese review
25 questions / Modal Verbs Modal Perfects Noun Formation (Suffixes) Correct the Sentence Mixed Bag
25 questions / Les bases Les verbes Le café La ville Passé Composé
25 questions / Bible Literature Grammar Football Science
25 questions / verbos (-AR) Translations Pronouns/Pronombres verbos (-ER & -IR) Conjugations
25 questions / jobs classroom objects clothing the time grammar
25 questions / will/going to So/such/such an/ such a Another/the other/the others/others Adj./ adv. Reported Speech
25 questions / Prefixes Find the... Suffixes Prefix/Suffix Meanings Mystery Level: HARD